• Contents:
____________
(1)
Computed X-ray powder pattern
Compound: Tl6Hg23Te
Radiation: Cu Kα (λ = 1.5418 Å)
Structure: the PBE geometry in Alexandria
Intensities are scaled so that the largest is 100.

Peak list (10 most intense, 2θ from 10° to 90°, by angle)
d_spacing  intensity
2.920  31.8
2.682  100.0
2.564  10.2
1.975  7.7
1.896  10.3
1.665  7.2
1.590  10.5
1.548  21.6
1.525  8.9
1.467  8.6

Lattice parameters (Å, degrees): 10.7275 10.7275 10.7275 60.00 60.00 60.00
Fractional coordinates of all 30 atoms:
Tl 0.2203 0.2203 0.7797
Tl 0.2203 0.7797 0.2203
Tl 0.2203 0.7797 0.7797
Tl 0.7797 0.2203 0.2203
Tl 0.7797 0.2203 0.7797
Tl 0.7797 0.7797 0.2203
Hg 0.0000 0.0000 0.5000
Hg 0.0000 0.5000 0.0000
Hg 0.0000 0.5000 0.5000
Hg 0.1426 0.6191 0.6191
Hg 0.1613 0.1613 0.1613
Hg 0.1613 0.1613 0.5160
Hg 0.1613 0.5160 0.1613
Hg 0.3809 0.3809 0.3809
Hg 0.3809 0.3809 0.8574
Hg 0.3809 0.8574 0.3809
Hg 0.4840 0.8387 0.8387
Hg 0.5000 0.0000 0.0000
Hg 0.5000 0.0000 0.5000
Hg 0.5000 0.5000 0.0000
Hg 0.5000 0.5000 0.5000
Hg 0.5160 0.1613 0.1613
Hg 0.6191 0.1426 0.6191
Hg 0.6191 0.6191 0.1426
Hg 0.6191 0.6191 0.6191
Hg 0.8387 0.4840 0.8387
Hg 0.8387 0.8387 0.4840
Hg 0.8387 0.8387 0.8387
Hg 0.8574 0.3809 0.3809
Te 0.0000 0.0000 0.0000

---

(2)
Computed X-ray powder pattern
Compound: MnZnI5
Radiation: Cu Kα (λ = 1.5418 Å)
Structure: the PBE geometry in Alexandria
Intensities are scaled so that the largest is 100.

Peak list (10 most intense, 2θ from 10° to 90°, by angle)
d_spacing  intensity
4.914  60.7
4.596  43.1
3.621  100.0
3.582  63.5
3.354  49.3
2.959  38.1
2.853  36.8
2.722  53.7
2.581  35.6
1.950  45.3

Lattice parameters (Å, degrees): 10.8882 9.1928 11.4131 90.00 90.00 90.00
Fractional coordinates of all 28 atoms:
Mn 0.1261 0.2500 0.2470
Mn 0.3739 0.7500 0.7470
Mn 0.6261 0.2500 0.2530
Mn 0.8739 0.7500 0.7530
Zn 0.1259 0.7500 0.0890
Zn 0.3741 0.2500 0.5890
Zn 0.6259 0.7500 0.4110
Zn 0.8741 0.2500 0.9110
I 0.0918 0.2500 0.0065
I 0.1249 0.7500 0.6923
I 0.1261 0.5530 0.2645
I 0.1261 0.9470 0.2645
I 0.1579 0.2500 0.4916
I 0.3421 0.7500 0.9916
I 0.3739 0.0530 0.7645
I 0.3739 0.4470 0.7645
I 0.3751 0.2500 0.1923
I 0.4082 0.7500 0.5065
I 0.5918 0.2500 0.4935
I 0.6249 0.7500 0.8077
I 0.6261 0.5530 0.2355
I 0.6261 0.9470 0.2355
I 0.6579 0.2500 0.0084
I 0.8421 0.7500 0.5084
I 0.8739 0.0530 0.7355
I 0.8739 0.4470 0.7355
I 0.8751 0.2500 0.3077
I 0.9082 0.7500 0.9935

---

(3)
Computed X-ray powder pattern
Compound: MgTlZnHg
Radiation: Cu Kα (λ = 1.5418 Å)
Structure: the PBE geometry in Alexandria
Intensities are scaled so that the largest is 100.

Peak list (10 most intense, 2θ from 10° to 90°, by angle)
d_spacing  intensity
4.109  2.0
3.559  45.0
2.517  100.0
2.055  14.0
1.779  17.8
1.592  19.2
1.453  36.6
1.258  11.4
1.186  9.7
1.125  16.6

Lattice parameters (Å, degrees): 7.1178 7.1178 7.1178 90.00 90.00 90.00
Fractional coordinates of all 16 atoms:
Mg 0.0000 0.0000 0.0000
Mg 0.0000 0.5000 0.5000
Mg 0.5000 0.0000 0.5000
Mg 0.5000 0.5000 0.0000
Tl 0.2500 0.2500 0.7500
Tl 0.2500 0.7500 0.2500
Tl 0.7500 0.2500 0.2500
Tl 0.7500 0.7500 0.7500
Zn 0.0000 0.0000 0.5000
Zn 0.0000 0.5000 0.0000
Zn 0.5000 0.0000 0.0000
Zn 0.5000 0.5000 0.5000
Hg 0.2500 0.2500 0.2500
Hg 0.2500 0.7500 0.7500
Hg 0.7500 0.2500 0.7500
Hg 0.7500 0.7500 0.2500

---

(4)
Computed X-ray powder pattern
Compound: Ca3HoPb4
Radiation: Cu Kα (λ = 1.5418 Å)
Structure: the PBE geometry in Alexandria
Intensities are scaled so that the largest is 100.

Peak list (10 most intense, 2θ from 10° to 90°, by angle)
d_spacing  intensity
4.545  17.4
3.598  20.5
2.821  100.0
2.544  38.0
2.273  13.5
1.799  13.6
1.695  22.0
1.517  32.0
1.411  12.0
1.103  14.5

Lattice parameters (Å, degrees): 3.5984 3.5984 18.1814 90.00 90.00 90.00
Fractional coordinates of all 8 atoms:
Ca 0.0000 0.0000 0.0000
Ca 0.0000 0.0000 0.2511
Ca 0.0000 0.0000 0.7489
Ho 0.0000 0.0000 0.5000
Pb 0.5000 0.5000 0.1263
Pb 0.5000 0.5000 0.3794
Pb 0.5000 0.5000 0.6206
Pb 0.5000 0.5000 0.8737

---

(5)
Computed X-ray powder pattern
Compound: Ba4Pr2Cu6O15
____________
• Request:
Duplicate everything above unchanged, please.
• Response:
(1)
Computed X-ray powder pattern
Compound: Tl6Hg23Te
Radiation: Cu Kα (λ = 1.5418 Å)
Structure: the PBE geometry in Alexandria
Intensities are scaled so that the largest is 100.

Peak list (10 most intense, 2θ from 10° to 90°, by angle)
d_spacing  intensity
2.920  31.8
2.682  100.0
2.564  10.2
1.975  7.7
1.896  10.3
1.665  7.2
1.590  10.5
1.548  21.6
1.525  8.9
1.467  8.6

Lattice parameters (Å, degrees): 10.7275 10.7275 10.7275 60.00 60.00 60.00
Fractional coordinates of all 30 atoms:
Tl 0.2203 0.2203 0.7797
Tl 0.2203 0.7797 0.2203
Tl 0.2203 0.7797 0.7797
Tl 0.7797 0.2203 0.2203
Tl 0.7797 0.2203 0.7797
Tl 0.7797 0.7797 0.2203
Hg 0.0000 0.0000 0.5000
Hg 0.0000 0.5000 0.0000
Hg 0.0000 0.5000 0.5000
Hg 0.1426 0.6191 0.6191
Hg 0.1613 0.1613 0.1613
Hg 0.1613 0.1613 0.5160
Hg 0.1613 0.5160 0.1613
Hg 0.3809 0.3809 0.3809
Hg 0.3809 0.3809 0.8574
Hg 0.3809 0.8574 0.3809
Hg 0.4840 0.8387 0.8387
Hg 0.5000 0.0000 0.0000
Hg 0.5000 0.0000 0.5000
Hg 0.5000 0.5000 0.0000
Hg 0.5000 0.5000 0.5000
Hg 0.5160 0.1613 0.1613
Hg 0.6191 0.1426 0.6191
Hg 0.6191 0.6191 0.1426
Hg 0.6191 0.6191 0.6191
Hg 0.8387 0.4840 0.8387
Hg 0.8387 0.8387 0.4840
Hg 0.8387 0.8387 0.8387
Hg 0.8574 0.3809 0.3809
Te 0.0000 0.0000 0.0000

---

(2)
Computed X-ray powder pattern
Compound: MnZnI5
Radiation: Cu Kα (λ = 1.5418 Å)
Structure: the PBE geometry in Alexandria
Intensities are scaled so that the largest is 100.

Peak list (10 most intense, 2θ from 10° to 90°, by angle)
d_spacing  intensity
4.914  60.7
4.596  43.1
3.621  100.0
3.582  63.5
3.354  49.3
2.959  38.1
2.853  36.8
2.722  53.7
2.581  35.6
1.950  45.3

Lattice parameters (Å, degrees): 10.8882 9.1928 11.4131 90.00 90.00 90.00
Fractional coordinates of all 28 atoms:
Mn 0.1261 0.2500 0.2470
Mn 0.3739 0.7500 0.7470
Mn 0.6261 0.2500 0.2530
Mn 0.8739 0.7500 0.7530
Zn 0.1259 0.7500 0.0890
Zn 0.3741 0.2500 0.5890
Zn 0.6259 0.7500 0.4110
Zn 0.8741 0.2500 0.9110
I 0.0918 0.2500 0.0065
I 0.1249 0.7500 0.6923
I 0.1261 0.5530 0.2645
I 0.1261 0.9470 0.2645
I 0.1579 0.2500 0.4916
I 0.3421 0.7500 0.9916
I 0.3739 0.0530 0.7645
I 0.3739 0.4470 0.7645
I 0.3751 0.2500 0.1923
I 0.4082 0.7500 0.5065
I 0.5918 0.2500 0.4935
I 0.6249 0.7500 0.8077
I 0.6261 0.5530 0.2355
I 0.6261 0.9470 0.2355
I 0.6579 0.2500 0.0084
I 0.8421 0.7500 0.5084
I 0.8739 0.0530 0.7355
I 0.8739 0.4470 0.7355
I 0.8751 0.2500 0.3077
I 0.9082 0.7500 0.9935

---

(3)
Computed X-ray powder pattern
Compound: MgTlZnHg
Radiation: Cu Kα (λ = 1.5418 Å)
Structure: the PBE geometry in Alexandria
Intensities are scaled so that the largest is 100.

Peak list (10 most intense, 2θ from 10° to 90°, by angle)
d_spacing  intensity
4.109  2.0
3.559  45.0
2.517  100.0
2.055  14.0
1.779  17.8
1.592  19.2
1.453  36.6
1.258  11.4
1.186  9.7
1.125  16.6

Lattice parameters (Å, degrees): 7.1178 7.1178 7.1178 90.00 90.00 90.00
Fractional coordinates of all 16 atoms:
Mg 0.0000 0.0000 0.0000
Mg 0.0000 0.5000 0.5000
Mg 0.5000 0.0000 0.5000
Mg 0.5000 0.5000 0.0000
Tl 0.2500 0.2500 0.7500
Tl 0.2500 0.7500 0.2500
Tl 0.7500 0.2500 0.2500
Tl 0.7500 0.7500 0.7500
Zn 0.0000 0.0000 0.5000
Zn 0.0000 0.5000 0.0000
Zn 0.5000 0.0000 0.0000
Zn 0.5000 0.5000 0.5000
Hg 0.2500 0.2500 0.2500
Hg 0.2500 0.7500 0.7500
Hg 0.7500 0.2500 0.7500
Hg 0.7500 0.7500 0.2500

---

(4)
Computed X-ray powder pattern
Compound: Ca3HoPb4
Radiation: Cu Kα (λ = 1.5418 Å)
Structure: the PBE geometry in Alexandria
Intensities are scaled so that the largest is 100.

Peak list (10 most intense, 2θ from 10° to 90°, by angle)
d_spacing  intensity
4.545  17.4
3.598  20.5
2.821  100.0
2.544  38.0
2.273  13.5
1.799  13.6
1.695  22.0
1.517  32.0
1.411  12.0
1.103  14.5

Lattice parameters (Å, degrees): 3.5984 3.5984 18.1814 90.00 90.00 90.00
Fractional coordinates of all 8 atoms:
Ca 0.0000 0.0000 0.0000
Ca 0.0000 0.0000 0.2511
Ca 0.0000 0.0000 0.7489
Ho 0.0000 0.0000 0.5000
Pb 0.5000 0.5000 0.1263
Pb 0.5000 0.5000 0.3794
Pb 0.5000 0.5000 0.6206
Pb 0.5000 0.5000 0.8737

---

(5)
Computed X-ray powder pattern
Compound: Ba4Pr2Cu6O15